One-shot. Based on a true story. Takes place at the beginning of season 2.

DISCAIMER: I don't own Ultimate Spider-Man unless I'm dreaming.

The Cheeseburger

Ava sighed to herself. It had been a long couple of days- the team had been forced to track some random super-villain for three days straight, without any real sleep. Now everybody was trekking back to Peter's house, where his Aunt May was waiting eagerly to hear the details of their 'school camping trip'. Soon after arriving, though, they found a note on the counter.


Sorry to miss you coming home. Your great, great twice removed cousin's uncle's best friend's daughter Angelina (who is also one of my best friends) broke her femur and needs my help. I should be back within the next two weeks. XOXO, Aunty May

It was a relief to not have to explain the burn-marks and bruises. Ava collapsed into the kitchen chair, and Peter sat down next to her. Danny was already asleep on the couch, snoring lightly, while Luke had stumbled into an armchair, and Sam was rummaging through the fridge.

"There's nothing to eat," Sam groaned to his friends, none of whom bothered to reply. Everybody was exhausted, and no one but Sam was the least bit hungry. He had found, though, that there was virtually no food (with the exception of expired tofu, canned green beans, rotten hot dog buns, baked beans, and Greek yogurt with pink chunks in it- none of which qualified as food). A yellow, crinkled wrapper caught his eye, laying forgotten in the cupboard.

Sam picked it up, finding it to be a McDonald's cheeseburger. It was warm. He stuffed it in his mouth, happy to have found something edible. "Why didn't anybody tell me that you got food on the way home?" Sam asked, swallowing. He felt miffed that none of his friends had bothered to share with him.

"I didn't stop for fast food," Ava rolled her eyes. "That stuff is nasty."

Sam shook his head at the girl's obvious lie. "This cheeseburger is still warm. It's delicious!" he exclaimed. It was unbelievable that any of that junk could taste good at all, in Ava's opinion.

"Cheeseburger? Where'd you find a cheeseburger?" Peter yawned.

"Hidden in the cupboard. I can't believe that you guys didn't share with me! Where did you put those little ketchup packets? And did you save me any fries?" Sam demanded.

Peter snapped awake. "Wait... you found a cheeseburger in the cupboard? Lemme see it," he said urgently.

"No way, Bug Breath!" Sam held the burger aloft, out of Peter's reach. However, since they were all still in uniform, it took Peter only a small flick of the fingers to snatch it with his webbing.

"Sam... This isn't fresh... It's warm because my aunt turned off the air conditioning to save money when she left and it's over a hundred degrees outside..." Peter trailed off, repulsed by the burger.

Ava wrinkled her nose. "Ew, Sam. Here, Pete, give me the wrapper for a sec." Peter tossed the bright yellow wrapper to her, and Ava turned it over, finding what she was looking for. "Aha! The receipt... January second of last year... oh, God, Sam, you're eating a rotten burger!"

**Crystal structures, kept here for reference**
┌──
Record 1
# Ho2Sn3Pb3S12

A relaxed structure of Ho2Sn3Pb3S12 (PBE-GGA, Materials Project).

a = 3.9397 Å, b = 20.4248 Å, c = 11.6524 Å
α = 90.00°, β = 90.00°, γ = 90.00°
With the nearest neighbours (Å) after each atom.
Space group Pmc2_1 (No. 26)
Symmetry-distinct sites (fractional):
Ho (0.0000, 0.0879, 0.0000)  8 S 2.82-3.08
Ho (0.0000, 0.3934, 0.3211)  7 S 2.77-2.84
Sn (0.5000, 0.0717, 0.6518)  5 S 2.45-2.58
Sn (0.5000, 0.2501, 0.1443)  6 S 2.54-2.65
Sn (0.5000, 0.4113, 0.6284)  6 S 2.54-2.63
Pb (0.0000, 0.1212, 0.3736)  8 S 2.91-3.23
Pb (0.0000, 0.2397, 0.7417)  8 S 2.97-3.29
Pb (0.0000, 0.4156, 0.9436)  7 S 2.93-3.27
S (0.0000, 0.0039, 0.7044)  2 Sn 2.48
S (0.0000, 0.2387, 0.9995)  2 Sn 2.60
S (0.0000, 0.2568, 0.2960)  2 Sn 2.65, 1 Ho 2.81, 1 Pb 2.91
S (0.0000, 0.3414, 0.5451)  2 Sn 2.62, 1 Ho 2.82
S (0.0000, 0.4823, 0.7123)  2 Sn 2.63, 1 Ho 2.84
S (0.5000, 0.0086, 0.4615)  1 Sn 2.57, 2 Ho 2.82
S (0.5000, 0.1263, 0.1621)  1 Sn 2.54, 2 Ho 2.84
S (0.5000, 0.1373, 0.8410)  1 Sn 2.58, 2 Ho 2.89
S (0.5000, 0.1754, 0.5461)  1 Sn 2.45
S (0.5000, 0.3417, 0.8093)  1 Sn 2.54
S (0.5000, 0.3754, 0.1564)  1 Sn 2.56, 2 Ho 2.77
S (0.5000, 0.4679, 0.4330)  1 Sn 2.55, 2 Ho 2.81

- Formation enthalpy at 0 K: -1.135 eV/atom
- Total moment: 0.0 μB/f.u.
- Crystal system: orthorhombic


Record 2
# SiMo3

A relaxed structure of SiMo3 (PBE-GGA, Materials Project).

a = 4.9194 Å, b = 4.9194 Å, c = 4.9194 Å
α = 90.00°, β = 90.00°, γ = 90.00°
With the nearest neighbours (Å) after each atom.
Space group Pm-3n (No. 223)
Symmetry-distinct sites (fractional):
Si (0.0000, 0.0000, 0.0000)  12 Mo 2.75
Mo (0.0000, 0.2500, 0.5000)  2 Mo 2.46, 4 Si 2.75

- Formation enthalpy at 0 K: -0.315 eV/atom
- Crystal system: cubic


Record 3
# Sb3Ir

A relaxed structure of Sb3Ir (PBE-GGA, Materials Project).

a = 9.3946 Å, b = 9.3946 Å, c = 9.3946 Å
α = 90.00°, β = 90.00°, γ = 90.00°
With the nearest neighbours (Å) after each atom.
Space group Im-3 (No. 204)
Symmetry-distinct sites (fractional):
Sb (0.0000, 0.3398, 0.1540)  2 Ir 2.65, 1 Sb 2.89
Ir (0.2500, 0.2500, 0.2500)  6 Sb 2.65

- Formation enthalpy at 0 K: -0.345 eV/atom
- Crystal system: cubic


Record 4
# Al3Si3Pb2O16

A relaxed structure of Al3Si3Pb2O16 (PBE-GGA, Materials Project).

a = 12.8568 Å, b = 13.0676 Å, c = 9.1200 Å
α = 90.00°, β = 90.00°, γ = 90.00°
With the nearest neighbours (Å) after each atom.
Space group Ccc2 (No. 37)
Symmetry-distinct sites (fractional):
Al (0.0000, 0.0000, 0.0000)  4 O 1.74-1.78
Al (0.1175, 0.3680, 0.2584)  4 O 1.72-1.80
Si (0.0000, 0.5000, 0.0070)  4 O 1.62-1.66
Si (0.1239, 0.1265, 0.2513)  4 O 1.60-1.68
Pb (0.2480, 0.4224, 0.9384)  4 O 2.29-2.54
O (0.0529, 0.4082, 0.1003)  1 Si 1.62, 1 Al 1.75
O (0.0628, 0.0941, 0.1023)  1 Si 1.63, 1 Al 1.74
O (0.0957, 0.4565, 0.4022)  1 Si 1.66, 1 Al 1.77
O (0.1020, 0.2413, 0.3042)  1 Si 1.60, 1 Al 1.72
O (0.1031, 0.0442, 0.3857)  1 Si 1.65, 1 Al 1.78
O (0.1663, 0.2494, 0.8484)  3 O 2.14-2.15
O (0.2493, 0.1106, 0.2045)  1 Si 1.68, 1 Al 1.80
└──
**The article goes on**

"Nu-uh! It's delicious! Here, give that back to me, Web Head!"

As Sam started shoving the burger into his mouth again, Ava sighed, and got up. I can't let the Bucket Head die of food poisoning, after all. She jammed the receipt in her teammate's face, and Sam finally believed his friend, promptly dropping the cheeseburger onto the table, and backing away, repulsed. As he ran to the bathroom, hand over his stomach, Luke walked into the kitchen, stretching.

"Oh, cool, you guys got fast food," he said, and popped remainder of the burger into his mouth.